Entries:
=====
No. 1
A relaxed structure of SrCu2Sb2. Source: Alexandria, functional PBE-GGA.

```
data_SrCu2Sb2
_cell_length_a 8.232
_cell_length_b 8.232
_cell_length_c 3.376
_cell_angle_alpha 90.00
_cell_angle_beta 90.00
_cell_angle_gamma 90.00
_space_group_name_H-M_alt 'P 4/m b m'
_space_group_IT_number 127
_space_group_name_Hall '-P 4 2ab'
loop_
_atom_site_label
_atom_site_type_symbol
_atom_site_fract_x
_atom_site_fract_y
_atom_site_fract_z
Sr1 Sr 0.000 0.000 0.000
Cu1 Cu 0.137 0.363 0.500
Sb1 Sb 0.144 0.644 0.000
```

Results
As for the electronic total energy: -0.1338 hartree per atom.



No. 2
A relaxed structure of InSbBr4. Source: Alexandria, functional PBE-GGA.

```
data_InSbBr4
_cell_length_a 9.110
_cell_length_b 9.110
_cell_length_c 9.110
_cell_angle_alpha 90.00
_cell_angle_beta 90.00
_cell_angle_gamma 90.00
_space_group_name_H-M_alt 'F -4 3 m'
_space_group_IT_number 216
_space_group_name_Hall 'F -4 2 3'
loop_
_atom_site_label
_atom_site_type_symbol
_atom_site_fract_x
_atom_site_fract_y
_atom_site_fract_z
In1 In 0.000 0.000 0.000
Sb1 Sb 0.250 0.250 0.750
Br1 Br 0.125 0.125 0.375
```

Results
The offset from the most stable computed form comes out at 1064 meV per atom. As for the electronic total energy: -0.0669 hartree per atom.



No. 3
A relaxed structure of NbCdSn. Source: Alexandria, functional PBE-GGA.

```
data_NbCdSn
_cell_length_a 3.653
_cell_length_b 3.653
_cell_length_c 9.677
_cell_angle_alpha 90.00
_cell_angle_beta 90.00
_cell_angle_gamma 90.00
_space_group_name_H-M_alt 'P 4/n m m'
_space_group_IT_number 129
loop_
_space_group_symop_operation_xyz
'x,y,z'
'-x,-y,-z'
'-y+1/2,x,z'
'y+1/2,-x,-z'
'-x+1/2,-y+1/2,z'
'x+1/2,y+1/2,-z'
'y,-x+1/2,z'
'-y,x+1/2,-z'
'x+1/2,-y,-z'
'-x+1/2,y,z'
'-y,-x,-z'
'y,x,z'
'-x,y+1/2,-z'
'x,-y+1/2,z'
'y+1/2,x+1/2,-z'
'-y+1/2,-x+1/2,z'
loop_
_atom_site_label
_atom_site_type_symbol
_atom_site_fract_x
_atom_site_fract_y
_atom_site_fract_z
Nb1 Nb 0.250 0.250 0.078
Cd1 Cd 0.250 0.250 0.411
Sn1 Sn 0.250 0.250 0.775
```

Results
The calculation puts the calculated formation energy at 0.01 eV per formula unit. As for the electronic total energy: -0.1834 hartree per atom.



No. 4
A relaxed structure of NaSi4Au2. Source: Alexandria, functional PBE-GGA.

```
data_NaSi4Au2
_cell_length_a 4.961
_cell_length_b 4.961
_cell_length_c 12.953
_cell_angle_alpha 90.00
_cell_angle_beta 90.00
_cell_angle_gamma 90.00
_space_group_name_H-M_alt 'I 4/m m m'
_space_group_IT_number 139
_space_group_name_Hall '-I 4 2'
loop_
_atom_site_label
_atom_site_type_symbol
_atom_site_fract_x
_atom_site_fract_y
_atom_site_fract_z
Na1 Na 0.000 0.000 0.000
Si1 Si 0.000 0.000 0.210
Si2 Si 0.000 0.500 0.000
Au1 Au 0.000 0.000 0.391
```

Results
As for the electronic total energy: -0.1184 hartree per atom.



No. 5
A relaxed structure of AlCd2In. Source: Alexandria, functional PBE-GGA.

```
data_AlCd2In
_cell_length_a 3.516
_cell_length_b 4.854
_cell_length_c 5.453
_cell_angle_alpha 90.00
_cell_angle_beta 90.00
_cell_angle_gamma 90.00
_space_group_name_H-M_alt 'P m m m'
_space_group_IT_number 47
loop_
_space_group_symop_operation_xyz
'x,y,z'
'-x,-y,-z'
'-x,-y,z'
'x,y,-z'
'x,-y,-z'
'-x,y,z'
'-x,y,-z'
'x,-y,z'
loop_
_atom_site_label
_atom_site_type_symbol
_atom_site_fract_x
_atom_site_fract_y
_atom_site_fract_z
Al1 Al 0.000 0.000 0.000
Cd1 Cd 0.000 0.500 0.500
Cd2 Cd 0.500 0.000 0.500
In1 In 0.500 0.500 0.000
```

Results
The offset from the most stable computed form comes out at 88 meV per atom. The calculation puts the calculated formation energy at 0.66 eV per formula unit. As for the electronic total energy: -0.0703 hartree per atom.



No. 6
A relaxed structure of CdSnSe2Br. Source: Alexandria, functional PBE-GGA.

```
data_CdSnSe2Br
_cell_length_a 5.225
_cell_length_b 5.225
_cell_length_c 5.424
_cell_angle_alpha 90.00
_cell_angle_beta 90.00
_cell_angle_gamma 90.00
_space_group_name_H-M_alt 'P 4/m m m'
_space_group_IT_number 123
_space_group_name_Hall '-P 4 2'
loop_
_atom_site_label
_atom_site_type_symbol
_atom_site_fract_x
=====
To do:
It remains to return the whole of the listing earlier on word for word.
Result:
No. 1
A relaxed structure of SrCu2Sb2. Source: Alexandria, functional PBE-GGA.

```
data_SrCu2Sb2
_cell_length_a 8.232
_cell_length_b 8.232
_cell_length_c 3.376
_cell_angle_alpha 90.00
_cell_angle_beta 90.00
_cell_angle_gamma 90.00
_space_group_name_H-M_alt 'P 4/m b m'
_space_group_IT_number 127
_space_group_name_Hall '-P 4 2ab'
loop_
_atom_site_label
_atom_site_type_symbol
_atom_site_fract_x
_atom_site_fract_y
_atom_site_fract_z
Sr1 Sr 0.000 0.000 0.000
Cu1 Cu 0.137 0.363 0.500
Sb1 Sb 0.144 0.644 0.000
```

Results
As for the electronic total energy: -0.1338 hartree per atom.



No. 2
A relaxed structure of InSbBr4. Source: Alexandria, functional PBE-GGA.

```
data_InSbBr4
_cell_length_a 9.110
_cell_length_b 9.110
_cell_length_c 9.110
_cell_angle_alpha 90.00
_cell_angle_beta 90.00
_cell_angle_gamma 90.00
_space_group_name_H-M_alt 'F -4 3 m'
_space_group_IT_number 216
_space_group_name_Hall 'F -4 2 3'
loop_
_atom_site_label
_atom_site_type_symbol
_atom_site_fract_x
_atom_site_fract_y
_atom_site_fract_z
In1 In 0.000 0.000 0.000
Sb1 Sb 0.250 0.250 0.750
Br1 Br 0.125 0.125 0.375
```

Results
The offset from the most stable computed form comes out at 1064 meV per atom. As for the electronic total energy: -0.0669 hartree per atom.



No. 3
A relaxed structure of NbCdSn. Source: Alexandria, functional PBE-GGA.

```
data_NbCdSn
_cell_length_a 3.653
_cell_length_b 3.653
_cell_length_c 9.677
_cell_angle_alpha 90.00
_cell_angle_beta 90.00
_cell_angle_gamma 90.00
_space_group_name_H-M_alt 'P 4/n m m'
_space_group_IT_number 129
loop_
_space_group_symop_operation_xyz
'x,y,z'
'-x,-y,-z'
'-y+1/2,x,z'
'y+1/2,-x,-z'
'-x+1/2,-y+1/2,z'
'x+1/2,y+1/2,-z'
'y,-x+1/2,z'
'-y,x+1/2,-z'
'x+1/2,-y,-z'
'-x+1/2,y,z'
'-y,-x,-z'
'y,x,z'
'-x,y+1/2,-z'
'x,-y+1/2,z'
'y+1/2,x+1/2,-z'
'-y+1/2,-x+1/2,z'
loop_
_atom_site_label
_atom_site_type_symbol
_atom_site_fract_x
_atom_site_fract_y
_atom_site_fract_z
Nb1 Nb 0.250 0.250 0.078
Cd1 Cd 0.250 0.250 0.411
Sn1 Sn 0.250 0.250 0.775
```

Results
The calculation puts the calculated formation energy at 0.01 eV per formula unit. As for the electronic total energy: -0.1834 hartree per atom.



No. 4
A relaxed structure of NaSi4Au2. Source: Alexandria, functional PBE-GGA.

```
data_NaSi4Au2
_cell_length_a 4.961
_cell_length_b 4.961
_cell_length_c 12.953
_cell_angle_alpha 90.00
_cell_angle_beta 90.00
_cell_angle_gamma 90.00
_space_group_name_H-M_alt 'I 4/m m m'
_space_group_IT_number 139
_space_group_name_Hall '-I 4 2'
loop_
_atom_site_label
_atom_site_type_symbol
_atom_site_fract_x
_atom_site_fract_y
_atom_site_fract_z
Na1 Na 0.000 0.000 0.000
Si1 Si 0.000 0.000 0.210
Si2 Si 0.000 0.500 0.000
Au1 Au 0.000 0.000 0.391
```

Results
As for the electronic total energy: -0.1184 hartree per atom.



No. 5
A relaxed structure of AlCd2In. Source: Alexandria, functional PBE-GGA.

```
data_AlCd2In
_cell_length_a 3.516
_cell_length_b 4.854
_cell_length_c 5.453
_cell_angle_alpha 90.00
_cell_angle_beta 90.00
_cell_angle_gamma 90.00
_space_group_name_H-M_alt 'P m m m'
_space_group_IT_number 47
loop_
_space_group_symop_operation_xyz
'x,y,z'
'-x,-y,-z'
'-x,-y,z'
'x,y,-z'
'x,-y,-z'
'-x,y,z'
'-x,y,-z'
'x,-y,z'
loop_
_atom_site_label
_atom_site_type_symbol
_atom_site_fract_x
_atom_site_fract_y
_atom_site_fract_z
Al1 Al 0.000 0.000 0.000
Cd1 Cd 0.000 0.500 0.500
Cd2 Cd 0.500 0.000 0.500
In1 In 0.500 0.500 0.000
```

Results
The offset from the most stable computed form comes out at 88 meV per atom. The calculation puts the calculated formation energy at 0.66 eV per formula unit. As for the electronic total energy: -0.0703 hartree per atom.



No. 6
A relaxed structure of CdSnSe2Br. Source: Alexandria, functional PBE-GGA.

```
data_CdSnSe2Br
_cell_length_a 5.225
_cell_length_b 5.225
_cell_length_c 5.424
_cell_angle_alpha 90.00
_cell_angle_beta 90.00
_cell_angle_gamma 90.00
_space_group_name_H-M_alt 'P 4/m m m'
_space_group_IT_number 123
_space_group_name_Hall '-P 4 2'
loop_
_atom_site_label
_atom_site_type_symbol
_atom_site_fract_x